• Wanted:
It remains to echo everything further below verbatim.

• Source:
<<<
[1]
Computed, not measured: a cluster of 2 separate species, CHClO2S in total, with the ωB97M-V functional and the def2-TZVPD basis.

The relative energy (zero: lowest compared OMol25 entry of this formula, charge and spin) comes out at 392.9 kJ/mol. Its multiplicity is 1. As for the gap between HOMO and LUMO (spin up / spin down): 7.2 / 7.2 eV. As for the HOMO energy (spin up / spin down): -0.3653 / -0.3653 Eh. For the LUMO energy (spin up / spin down), the calculation gives -2.76 / -2.76 eV. As for the total energy: -28500.76362 eV.

```
6
Properties=species:S:1:pos:R:3:forces:R:3
C -1.28821 -0.43023 0.23081 0.5 3.0 -0.7
O -3.82259 -1.18132 -0.16198 1.8 -0.2 0.4
O -0.05758 -0.39662 0.51898 -0.4 -0.4 1.8
S -2.40733 -1.55450 0.08389 -2.2 -0.3 -0.4
Cl -2.10695 2.24168 0.08471 0.6 -2.4 0.1
H 0.72408 -0.31261 -0.03318 -0.4 0.2 -1.1
```
Forces are in eV/Å.

---

[2]
Computed, not measured: a cluster of 2 separate species, CHClS2 in total, with the ωB97M-V functional and the def2-TZVPD basis.

The relative energy (zero: lowest compared OMol25 entry of this formula, charge and spin) comes out at 13.5 kJ/mol. Its multiplicity is 1. As for the gap between HOMO and LUMO: 9.5 eV. As for the HOMO energy: -0.3607 Eh. For the LUMO energy, the calculation gives -0.34 eV. As for the total energy: -35245.92441 eV.

```
5
Properties=species:S:1:pos:R:3:forces:R:3
C -0.13109 -1.99798 0.12509 1.1 0.7 -0.1
S -1.19283 -1.73721 -0.98247 0.1 -0.4 0.6
S 1.11285 -2.04674 1.08974 -1.2 -0.3 -0.5
Cl -0.42884 3.28542 -0.10217 1.1 -0.8 0.0
H 0.63991 2.49651 -0.13019 -1.1 0.8 0.0
```
Forces are in eV/Å.

---

[3]
Computed, not measured: a cluster of 2 separate species, CHClS2 in total, with the ωB97M-V functional and the def2-TZVPD basis.

The relative energy (zero: lowest compared OMol25 entry of this formula, charge and spin) comes out at 85.4 kJ/mol. Its multiplicity is 3. As for the gap between HOMO and LUMO (spin up / spin down): 7.1 / 4.1 eV. As for the HOMO energy (spin up / spin down): -0.3371 / -0.3184 Eh. For the LUMO energy (spin up / spin down), the calculation gives -2.12 / -4.56 eV. As for the total energy: -35241.61335 eV.

```
5
Properties=species:S:1:pos:R:3:forces:R:3
C 0.71562 0.20174 -0.02389 -0.5 1.6 0.2
S 2.20307 -0.51183 0.04782 1.5 1.3 0.0
S -0.18019 -1.17865 -0.03283 -3.1 0.1 -0.1
Cl -3.04920 0.17170 0.02732 1.1 -0.4 0.0
H 0.31070 1.31704 -0.01842 1.0 -2.5 -0.1
```
Forces are in eV/Å.

---

[4]
Computed, not measured: a structure of composition CHCoO2, with the ωB97M-V functional and the def2-TZVPD basis.

The relative energy (zero: lowest compared OMol25 entry of this formula, charge and spin) comes out at 43.6 kJ/mol. Its multiplicity is 4. As for the gap between HOMO and LUMO (spin up / spin down): 9.4 / 8.8 eV. As for the HOMO energy (spin up / spin down): -0.6115 / -0.6064 Eh. For the LUMO energy (spin up / spin down), the calculation gives -7.21 / -7.69 eV. As for the total energy: -42762.91253 eV. Its charge is +1.

```
5
Properties=species:S:1:pos:R:3:forces:R:3
H -1.07199 -0.95574 0.33054 -2.5 1.8 -2.1
O -0.36713 1.12783 0.03080 -0.2 0.9 -1.9
O 0.45071 -0.85446 -0.07318 3.1 0.4 -2.3
C -0.55333 -0.06564 -0.33123 -0.5 -3.1 6.0
Co 1.54173 0.74802 0.04307 0.1 0.0 0.3
```
Forces are in eV/Å.

---

[5]
Computed, not measured: a structure of composition CHCuO2, with the ωB97M-V functional and the def2-TZVPD basis.

The relative energy (zero: lowest compared OMol25 entry of this formula, charge and spin) comes out at 119.7 kJ/mol. Its multiplicity is 3. As for the gap between HOMO and LUMO (spin up / spin down): 7.6 / 6.2 eV. As for the HOMO energy (spin up / spin down): -0.2583 / -0.3391 Eh. For the LUMO energy (spin up / spin down), the calculation gives 0.53 / -2.98 eV. As for the total energy: -49782.84126 eV.

```
5
Properties=species:S:1:pos:R:3:forces:R:3
H -0.69489 -1.45237 0.16842 0.8 0.3 -0.5
O -0.11422 1.40442 0.00622 -0.9 -1.3 -0.7
O -0.06225 -0.74517 -0.08824 -1.7 -0.7 0.3
C -0.87132 0.43290 -0.18147 1.9 1.3 0.8
>>>

• Here it is:
[1]
Computed, not measured: a cluster of 2 separate species, CHClO2S in total, with the ωB97M-V functional and the def2-TZVPD basis.

The relative energy (zero: lowest compared OMol25 entry of this formula, charge and spin) comes out at 392.9 kJ/mol. Its multiplicity is 1. As for the gap between HOMO and LUMO (spin up / spin down): 7.2 / 7.2 eV. As for the HOMO energy (spin up / spin down): -0.3653 / -0.3653 Eh. For the LUMO energy (spin up / spin down), the calculation gives -2.76 / -2.76 eV. As for the total energy: -28500.76362 eV.

```
6
Properties=species:S:1:pos:R:3:forces:R:3
C -1.28821 -0.43023 0.23081 0.5 3.0 -0.7
O -3.82259 -1.18132 -0.16198 1.8 -0.2 0.4
O -0.05758 -0.39662 0.51898 -0.4 -0.4 1.8
S -2.40733 -1.55450 0.08389 -2.2 -0.3 -0.4
Cl -2.10695 2.24168 0.08471 0.6 -2.4 0.1
H 0.72408 -0.31261 -0.03318 -0.4 0.2 -1.1
```
Forces are in eV/Å.

---

[2]
Computed, not measured: a cluster of 2 separate species, CHClS2 in total, with the ωB97M-V functional and the def2-TZVPD basis.

The relative energy (zero: lowest compared OMol25 entry of this formula, charge and spin) comes out at 13.5 kJ/mol. Its multiplicity is 1. As for the gap between HOMO and LUMO: 9.5 eV. As for the HOMO energy: -0.3607 Eh. For the LUMO energy, the calculation gives -0.34 eV. As for the total energy: -35245.92441 eV.

```
5
Properties=species:S:1:pos:R:3:forces:R:3
C -0.13109 -1.99798 0.12509 1.1 0.7 -0.1
S -1.19283 -1.73721 -0.98247 0.1 -0.4 0.6
S 1.11285 -2.04674 1.08974 -1.2 -0.3 -0.5
Cl -0.42884 3.28542 -0.10217 1.1 -0.8 0.0
H 0.63991 2.49651 -0.13019 -1.1 0.8 0.0
```
Forces are in eV/Å.

---

[3]
Computed, not measured: a cluster of 2 separate species, CHClS2 in total, with the ωB97M-V functional and the def2-TZVPD basis.

The relative energy (zero: lowest compared OMol25 entry of this formula, charge and spin) comes out at 85.4 kJ/mol. Its multiplicity is 3. As for the gap between HOMO and LUMO (spin up / spin down): 7.1 / 4.1 eV. As for the HOMO energy (spin up / spin down): -0.3371 / -0.3184 Eh. For the LUMO energy (spin up / spin down), the calculation gives -2.12 / -4.56 eV. As for the total energy: -35241.61335 eV.

```
5
Properties=species:S:1:pos:R:3:forces:R:3
C 0.71562 0.20174 -0.02389 -0.5 1.6 0.2
S 2.20307 -0.51183 0.04782 1.5 1.3 0.0
S -0.18019 -1.17865 -0.03283 -3.1 0.1 -0.1
Cl -3.04920 0.17170 0.02732 1.1 -0.4 0.0
H 0.31070 1.31704 -0.01842 1.0 -2.5 -0.1
```
Forces are in eV/Å.

---

[4]
Computed, not measured: a structure of composition CHCoO2, with the ωB97M-V functional and the def2-TZVPD basis.

The relative energy (zero: lowest compared OMol25 entry of this formula, charge and spin) comes out at 43.6 kJ/mol. Its multiplicity is 4. As for the gap between HOMO and LUMO (spin up / spin down): 9.4 / 8.8 eV. As for the HOMO energy (spin up / spin down): -0.6115 / -0.6064 Eh. For the LUMO energy (spin up / spin down), the calculation gives -7.21 / -7.69 eV. As for the total energy: -42762.91253 eV. Its charge is +1.

```
5
Properties=species:S:1:pos:R:3:forces:R:3
H -1.07199 -0.95574 0.33054 -2.5 1.8 -2.1
O -0.36713 1.12783 0.03080 -0.2 0.9 -1.9
O 0.45071 -0.85446 -0.07318 3.1 0.4 -2.3
C -0.55333 -0.06564 -0.33123 -0.5 -3.1 6.0
Co 1.54173 0.74802 0.04307 0.1 0.0 0.3
```
Forces are in eV/Å.

---

[5]
Computed, not measured: a structure of composition CHCuO2, with the ωB97M-V functional and the def2-TZVPD basis.

The relative energy (zero: lowest compared OMol25 entry of this formula, charge and spin) comes out at 119.7 kJ/mol. Its multiplicity is 3. As for the gap between HOMO and LUMO (spin up / spin down): 7.6 / 6.2 eV. As for the HOMO energy (spin up / spin down): -0.2583 / -0.3391 Eh. For the LUMO energy (spin up / spin down), the calculation gives 0.53 / -2.98 eV. As for the total energy: -49782.84126 eV.

```
5
Properties=species:S:1:pos:R:3:forces:R:3
H -0.69489 -1.45237 0.16842 0.8 0.3 -0.5
O -0.11422 1.40442 0.00622 -0.9 -1.3 -0.7
O -0.06225 -0.74517 -0.08824 -1.7 -0.7 0.3
C -0.87132 0.43290 -0.18147 1.9 1.3 0.8